== Work order ==
The reader should say how many lines of the data further down hold the word "structure", as a bare number.

== Input ==
Version 1
An optimized crystal structure of FeCo3O8, computed with PBE+U.

Results
- SG = P1, No. 1
- M_tot (μB/cell) = 20.00

Cell lengths 7.993, 8.005, 8.007 Å; angles 90.04, 90.04, 89.92 degrees
Element x y z (fractional)
Co 0.126 0.125 0.625
O 0.140 0.139 0.861
O 0.110 0.389 0.112
O 0.143 0.357 0.643
Fe 0.125 0.875 0.375
O 0.889 0.388 0.890
O 0.357 0.643 0.143
O 0.862 0.140 0.138
Fe 0.875 0.375 0.125
O 0.137 0.861 0.141
O 0.857 0.857 0.857
Co 0.375 0.626 0.375
O 0.860 0.638 0.639
O 0.612 0.390 0.611
O 0.360 0.862 0.361
O 0.893 0.107 0.607
O 0.640 0.361 0.139
O 0.112 0.888 0.610
Co 0.624 0.875 0.874
O 0.107 0.607 0.893
O 0.139 0.640 0.362
O 0.890 0.889 0.389
Co 0.626 0.375 0.375
O 0.639 0.860 0.638
Co 0.374 0.876 0.125
Co 0.625 0.125 0.124
O 0.643 0.143 0.357
O 0.390 0.611 0.611
Co 0.874 0.624 0.875
O 0.887 0.610 0.111
O 0.607 0.893 0.107
O 0.387 0.891 0.889
O 0.362 0.139 0.640
Co 0.125 0.375 0.876
O 0.637 0.639 0.859
Fe 0.375 0.125 0.875
Co 0.376 0.375 0.625
O 0.612 0.611 0.390
O 0.389 0.112 0.110
Co 0.124 0.625 0.126
O 0.610 0.111 0.888
Co 0.876 0.125 0.375
Fe 0.625 0.625 0.625
O 0.393 0.393 0.393
O 0.112 0.110 0.389
O 0.362 0.360 0.861
Co 0.875 0.874 0.625
O 0.862 0.361 0.360

=====

Version 2
An optimized crystal structure of FeCo3O8, computed with PBE+U.

Results
- SG = R-3m, No. 166
- M_tot (μB/cell) = 6.99

Cell lengths 5.802, 5.802, 5.802 Å; angles 59.79, 59.79, 59.79 degrees
Element x y z (fractional)
O 0.239 0.719 0.239
O 0.239 0.239 0.719
Co 0.500 0.000 0.500
Fe 0.000 0.000 0.000
Co 0.000 0.500 0.500
O 0.734 0.734 0.734
O 0.719 0.239 0.239
Co 0.500 0.500 0.000
O 0.281 0.761 0.761
O 0.266 0.266 0.266
O 0.761 0.281 0.761
O 0.761 0.761 0.281

=====

Version 3
An optimized crystal structure of FeCo3O8, computed with PBE+U.

Results
- SG = P1, No. 1
- M_tot (μB/cell) = 28.00

Cell lengths 8.039, 8.112, 8.159 Å; angles 89.72, 89.99, 89.67 degrees
Element x y z (fractional)
O 0.137 0.360 0.637
O 0.613 0.110 0.892
Co 0.375 0.617 0.368
Co 0.631 0.875 0.880
O 0.885 0.115 0.614
O 0.367 0.857 0.352
Co 0.370 0.374 0.617
Co 0.627 0.120 0.130
O 0.391 0.890 0.891
O 0.899 0.627 0.106
O 0.114 0.392 0.108
O 0.650 0.647 0.873
Co 0.120 0.128 0.626
Co 0.618 0.368 0.376
O 0.885 0.893 0.399
O 0.149 0.856 0.121
O 0.374 0.602 0.596
O 0.855 0.120 0.149
Co 0.376 0.870 0.123
O 0.116 0.610 0.885
O 0.108 0.114 0.395
O 0.858 0.353 0.363
O 0.601 0.376 0.602
O 0.390 0.110 0.109
O 0.358 0.363 0.856
O 0.107 0.900 0.626
O 0.139 0.640 0.354
Co 0.128 0.627 0.119
Co 0.880 0.633 0.876
O 0.644 0.874 0.652
Fe 0.876 0.375 0.127
Fe 0.126 0.876 0.376
Fe 0.627 0.626 0.622
Co 0.124 0.380 0.872
Fe 0.376 0.126 0.875
O 0.637 0.352 0.142
O 0.876 0.652 0.647
O 0.893 0.394 0.889
O 0.635 0.136 0.364
O 0.610 0.889 0.112
O 0.363 0.635 0.137
O 0.864 0.866 0.867
O 0.605 0.598 0.375
O 0.136 0.145 0.859
Co 0.875 0.882 0.634
O 0.383 0.383 0.384
O 0.359 0.139 0.640
Co 0.869 0.123 0.379

=====

Which of them is most stable? Easy: version 3.

=====

Version 1
An optimized crystal structure of Fe3Co5O16, computed with PBE+U.

Results
- SG = P2/m, No. 10
- M_tot (μB/cell) = 17.00

Cell lengths 2.868, 5.241, 19.160 Å; angles 84.92, 90.00, 90.00 degrees
Element x y z (fractional)
Co 0.500 0.500 0.500
Co 0.500 0.738 0.745
O 0.500 0.278 0.072
O 0.500 0.722 0.928
O 0.000 0.370 0.558
O 0.000 0.856 0.057
Fe 0.000 0.858 0.870
O 0.500 0.246 0.435
Co 0.000 0.376 0.378
O 0.500 0.003 0.189
O 0.000 0.877 0.688
O 0.000 0.403 0.202
O 0.500 0.997 0.811
O 0.500 0.492 0.680
O 0.500 0.754 0.565
O 0.000 0.597 0.798
O 0.000 0.630 0.442
O 0.000 0.123 0.312
Co 0.000 0.624 0.622
Fe 0.000 0.142 0.130
O 0.000 0.144 0.943
O 0.500 0.508 0.320
Fe 0.500 0.000 0.000
Co 0.500 0.262 0.255

=====

Version 2
An optimized crystal structure of Fe3Co5O16, computed with PBE+U.

Results
- SG = Cm, No. 8
- M_tot (μB/cell) = 19.62

Cell lengths 5.736, 5.714, 8.554 Å; angles 89.99, 91.67, 119.81 degrees
Element x y z (fractional)
Co 0.167 0.832 0.207
O 0.180 0.345 0.597
O 0.469 0.515 0.344
O 0.181 0.836 0.597

== Worked solution ==
5